Implementing rules for ban on pass-through fees released, take effect immediately

Implementing rules for ban on pass-through fees released, take effect immediately
Image by Peter H from Pixabay
  • The long-awaited implementing rules for Executive Order No. 41 have been released and are now in effect
  • Joint Administrative Order No. 24-01 enforces EO No. 41, which explicitly bans local government units from imposing pass-through fees on vehicles transporting goods on national roads
  • In the case of local roads, LGUs are urged to suspend or discontinue the collection of pass-through fees for the greater good of public welfare
  • A technical working group has been established to assess LGU ordinances related to pass-through fees under Republic Act 7160 and EO 41
  • The TWG has no authority though to amend, repeal, or modify these ordinances; its role is limited to recommending appropriate actions to the President

The implementing rules and regulations (IRR) for Executive Order (EO) No. 41—which prohibits local government units (LGUs) from collecting pass-through fees on national roads and other roads not funded by them—have been released.

Joint Administrative Order (JAO) No. 24-01, effective immediately upon publication on January 20, puts EO No. 41 into action.

Unrelated to this piece: data records
+++
Entry 1:
ErSi2Os2 | PBE | relaxed

Values from the calculation:
* DFT formation energy: -0.718 eV/atom
* space group: I4/mmm

Cell: 5.6248 5.6248 5.6248 Å, 136.35 136.35 63.44°
Atoms (fractional coordinates):
Er: 0.0000 0.0000 0.0000
Si: 0.3722 0.3722 0.0000
Si: 0.6278 0.6278 0.0000
Os: 0.2500 0.7500 0.5000
Os: 0.7500 0.2500 0.5000

=====

Entry 2:
TiTlCuTe3 | PBE | relaxed

Values from the calculation:
* M_tot: 0.00 μB per formula unit
* DFT formation energy: -0.676 eV/atom
* space group: P2_1/m

Cell: 8.7048 3.9803 10.5746 Å, 90.00 113.42 90.00°
Atoms (fractional coordinates):
Ti: 0.2111 0.2500 0.1777
Ti: 0.7889 0.7500 0.8223
Tl: 0.2165 0.7500 0.7164
Tl: 0.7835 0.2500 0.2836
Cu: 0.4203 0.7500 0.3995
Cu: 0.5797 0.2500 0.6005
Te: 0.0439 0.2500 0.8818
Te: 0.2491 0.2500 0.4438
Te: 0.4221 0.7500 0.1543
Te: 0.5779 0.2500 0.8457
Te: 0.7509 0.7500 0.5562
Te: 0.9561 0.7500 0.1182

=====

Entry 3:
Hg2C2N2O | PBE | relaxed

Values from the calculation:
* M_tot: 0.00 μB per formula unit
* DFT formation energy: 0.212 eV/atom
* space group: Pnma

Cell: 19.0947 4.2262 7.1628 Å, 90.00 90.00 90.00°
Atoms (fractional coordinates):
Hg: 0.0216 0.2500 0.1986
Hg: 0.1535 0.7500 0.8662
Hg: 0.3465 0.2500 0.3662
Hg: 0.4784 0.7500 0.6986
Hg: 0.5216 0.2500 0.3014
Hg: 0.6535 0.7500 0.6338
Hg: 0.8465 0.2500 0.1338
Hg: 0.9784 0.7500 0.8014
C: 0.0805 0.2500 0.4358
C: 0.2445 0.7500 0.7178
C: 0.2555 0.2500 0.2178
C: 0.4195 0.7500 0.9358
C: 0.5805 0.2500 0.0642
C: 0.7445 0.7500 0.7822
C: 0.7555 0.2500 0.2822
C: 0.9195 0.7500 0.5642
N: 0.1075 0.2500 0.5824
N: 0.2061 0.2500 0.1215
N: 0.2939 0.7500 0.6215
N: 0.3925 0.7500 0.0824
N: 0.6075 0.2500 0.9176
N: 0.7061 0.2500 0.3785
N: 0.7939 0.7500 0.8785
N: 0.8925 0.7500 0.4176
O: 0.0585 0.7500 0.9990
O: 0.4415 0.2500 0.4990
O: 0.5585 0.7500 0.5010
O: 0.9415 0.2500 0.0010

=====

Entry 4:
NbGa3Ni12 | PBE | relaxed

Values from the calculation:
* DFT formation energy: -0.308 eV/atom
* space group: P4/mmm

Cell: 3.6131 3.6131 14.2298 Å, 90.00 90.00 90.00°
Atoms (fractional coordinates):
Nb: 0.0000 0.0000 0.0000
Ga: 0.0000 0.0000 0.2546
Ga: 0.0000 0.0000 0.5000
Ga: 0.0000 0.0000 0.7454
Ni: 0.0000 0.5000 0.1281
Ni: 0.0000 0.5000 0.3749
Ni: 0.0000 0.5000 0.6251
Ni: 0.0000 0.5000 0.8719
Ni: 0.5000 0.0000 0.1281
Ni: 0.5000 0.0000 0.3749
Ni: 0.5000 0.0000 0.6251
Ni: 0.5000 0.0000 0.8719
Ni: 0.5000 0.5000 0.0000
Ni: 0.5000 0.5000 0.2515
Ni: 0.5000 0.5000 0.5000
Ni: 0.5000 0.5000 0.7485

=====

Entry 5:
Hg | PBE | relaxed

Values from the calculation:
* M_tot: 0.00 μB per formula unit
* DFT formation energy: 0.020 eV/atom
* space group: R-3m
* energy relative to the lowest polymorph listed for this composition: 20 meV/atom

Cell: 3.1619 3.1619 3.1619 Å, 92.56 92.56 92.56°
Atoms (fractional coordinates):
Hg: 0.0000 0.0000 0.0000

=====

Entry 6:
EuGe2Pt2 | PBE | relaxed

Values from the calculation:
* DFT formation energy: -0.838 eV/atom
* space group: P2_1/m

Cell: 4.3995 4.3779 10.2012 Å, 90.00 90.39 90.00°
Atoms (fractional coordinates):
+++
Here the piece continues

The EO, issued last year, bars the collection of pass-through fees on national roads and urges LGUs to suspend any form of fees on vehicles transporting goods, as outlined in Section 153 or 155 of Republic Act (RA) No. 7160, also known as the Local Government Code of 1991.

READ: Marcos bans LGU pass-through fees on national roads

The EO makes it clear that local governments are not allowed to impose taxes, fees, charges, or other levies on goods transported through their areas, following Section 133(e) of RA 7160.

READ: Gov’t fast tracking implementing rules banning pass-through fees

Signed by key government departments, JAO 24-01 covers all LGUs, concerned national government agencies, and all owners/operators of motor vehicles transporting goods or merchandise.

Under the order, LGUs are prohibited from collecting toll fees and charges on motor vehicles transporting goods and merchandise on national roads and other roads not constructed and funded by LGUs.

Next to the article, the page also holds crystal structures
/*
{
  "formula": "HXeF7",
  "functional": "meta-GGA r2SCAN",
  "state": "relaxed",
  "lattice_angstrom": [[8.1226, 4.6896, 3.8753], [-8.1226, 4.6896, 3.8753], [0.0000, -9.3792, 3.8753]],
  "species": ["H", "H", "H", "H", "H", "H", "Xe", "Xe", "Xe", "Xe", "Xe", "Xe", "F", "F", "F", "F", "F", "F", "F", "F", "F", "F", "F", "F", "F", "F", "F", "F", "F", "F", "F", "F", "F", "F", "F", "F", "F", "F", "F", "F", "F", "F", "F", "F", "F", "F", "F", "F", "F", "F", "F", "F", "F", "F"],
  "fractional_positions": [[0.1694, 0.5719, 0.5942], [0.4058, 0.8306, 0.4281], [0.4281, 0.4058, 0.8306], [0.5719, 0.5942, 0.1694], [0.5942, 0.1694, 0.5719], [0.8306, 0.4281, 0.4058], [0.0065, 0.7722, 0.6264], [0.2278, 0.3736, 0.9935], [0.3736, 0.9935, 0.2278], [0.6264, 0.0065, 0.7722], [0.7722, 0.6264, 0.0065], [0.9935, 0.2278, 0.3736], [0.0093, 0.0740, 0.2196], [0.0577, 0.3169, 0.8022], [0.0696, 0.7045, 0.7914], [0.0740, 0.2196, 0.0093], [0.0774, 0.4231, 0.5748], [0.0874, 0.1436, 0.5075], [0.1436, 0.5075, 0.0874], [0.1962, 0.3363, 0.3920], [0.1978, 0.9423, 0.6831], [0.2086, 0.9304, 0.2955], [0.2116, 0.6754, 0.6053], [0.2196, 0.0093, 0.0740], [0.2955, 0.2086, 0.9304], [0.3169, 0.8022, 0.0577], [0.3246, 0.3947, 0.7884], [0.3363, 0.3920, 0.1962], [0.3920, 0.1962, 0.3363], [0.3947, 0.7884, 0.3246], [0.4231, 0.5748, 0.0774], [0.4252, 0.9226, 0.5769], [0.4925, 0.9126, 0.8564], [0.5075, 0.0874, 0.1436], [0.5748, 0.0774, 0.4231], [0.5769, 0.4252, 0.9226], [0.6053, 0.2116, 0.6754], [0.6080, 0.8038, 0.6637], [0.6637, 0.6080, 0.8038], [0.6754, 0.6053, 0.2116], [0.6831, 0.1978, 0.9423], [0.7045, 0.7914, 0.0696], [0.7804, 0.9907, 0.9260], [0.7884, 0.3246, 0.3947], [0.7914, 0.0696, 0.7045], [0.8022, 0.0577, 0.3169], [0.8038, 0.6637, 0.6080], [0.8564, 0.4925, 0.9126], [0.9126, 0.8564, 0.4925], [0.9226, 0.5769, 0.4252], [0.9260, 0.7804, 0.9907], [0.9304, 0.2955, 0.2086], [0.9423, 0.6831, 0.1978], [0.9907, 0.9260, 0.7804]],
  "volume_a3_per_atom": 16.4,
  "energy_ev_per_atom": -6.099,
  "e_form_ev_per_atom": -0.63
}

=====

{
  "formula": "MnNb3P6O24",
  "functional": "meta-GGA r2SCAN",
  "state": "relaxed",
  "lattice_angstrom": [[4.3208, 2.4946, 7.3918], [-4.3208, 2.4946, 7.3918], [0.0000, -4.9892, 7.3918]],
  "species": ["Mn", "Nb", "Nb", "Nb", "P", "P", "P", "P", "P", "P", "O", "O", "O", "O", "O", "O", "O", "O", "O", "O", "O", "O", "O", "O", "O", "O", "O", "O", "O", "O", "O", "O", "O", "O"],
*/

For LGU-funded local roads, LGUs are “strongly urged to suspend or discontinue the collection of pass-through fees” in consideration of public welfare.

The Department of the Interior and Local Government will direct LGUs to submit their existing ordinances on pass-through fees to a technical working group (TWG) created under JAO 24-01.

The TWG, consisting of various government bodies, will evaluate LGU ordinances on pass-through fees but has no authority to amend, repeal, or modify them. It can only recommend appropriate action to the President.

Data records that have nothing to do with the article
-- begin --
(1)
Material: Fe4Si2Sn7O16
Method: DFT, PBE+U
State: relaxed

Cell and atoms, written as CIF:
```
data_Fe4Si2Sn7O16
_chemical_formula_sum 'Fe16 Si8 Sn28 O64'
_cell_length_a 22.3240
_cell_length_b 6.9418
_cell_length_c 12.0261
_cell_angle_alpha 90.00
_cell_angle_beta 122.59
_cell_angle_gamma 90.00
_space_group_name_H-M_alt 'C 1 2/m 1'
_space_group_IT_number 12
loop_
_space_group_symop_operation_xyz
'x,y,z'
'-x,-y,-z'
'-x,y,-z'
'x,-y,z'
'x+1/2,y+1/2,z'
'-x+1/2,-y+1/2,-z'
'-x+1/2,y+1/2,-z'
'x+1/2,-y+1/2,z'
loop_
_atom_site_label
_atom_site_fract_x
_atom_site_fract_y
_atom_site_fract_z
Fe1 0.0000 0.0000 0.0000
Fe2 0.0000 0.2498 0.2500
Fe3 0.0000 0.5000 0.5000
Fe4 0.2500 0.0000 0.7500
Si1 0.1311 0.0000 0.9643
Si2 0.1312 0.5000 0.4644
Sn1 0.0000 0.0000 0.5000
Sn2 0.0000 0.5000 0.0000
Sn3 0.1671 0.0000 0.5015
Sn4 0.1672 0.2486 0.7500
Sn5 0.1670 0.2514 0.2498
Sn6 0.1671 0.5000 0.0015
O1 0.0421 0.0000 0.8751
O2 0.0421 0.5000 0.3759
O3 0.0562 0.0000 0.4021
O4 0.0564 0.2314 0.6334
O5 0.0563 0.2683 0.1333
O6 0.0562 0.5000 0.9016
O7 0.1567 0.0000 0.1195
O8 0.1571 0.1944 0.9256
O9 0.1570 0.3056 0.4255
O10 0.1572 0.5000 0.6199
O11 0.1841 0.0000 0.3508
O12 0.1840 0.5000 0.8507
```

For the formation energy, the calculation gives -1922 meV/atom. As for the MP2020-corrected energy: -7.162 eV/atom. The crystal system is monoclinic.



(2)
Material: V2Fe3Si3O12
Method: DFT, PBE+U
State: relaxed

Cell and atoms, written as CIF:
```
data_V2Fe3Si3O12
_chemical_formula_sum 'V16 Fe24 Si24 O96'
_cell_length_a 11.9039
_cell_length_b 11.9039
_cell_length_c 11.9039
_cell_angle_alpha 90.00
_cell_angle_beta 90.00
_cell_angle_gamma 90.00
_space_group_name_H-M_alt 'I a -3 d'
_space_group_IT_number 230
_space_group_name_Hall '-I 4bd 2c 3'
loop_
_atom_site_label
_atom_site_fract_x
_atom_site_fract_y
_atom_site_fract_z
V1 0.0000 0.0000 0.0000
Fe1 0.0000 0.2500 0.1250
Si1 0.0000 0.2500 0.3750
O1 0.0355 0.0532 0.6579
```

For the formation energy, the calculation gives -2484 meV/atom. As for the MP2020-corrected energy: -8.446 eV/atom. The crystal system is cubic.
-- stop --

Failure to adhere to EO 41 and the JAO may result in legal actions and administrative sanctions against public officials, including traffic enforcers, found collecting fees unlawfully.

This move comes in response to long-standing complaints from truckers about LGUs charging pass-through fees, particularly in Metro Manila.

The new regulations reinforce the principles set out in previous memoranda, signaling a concerted effort to put an end to unlawful charges on national roads. — Roumina Pablo